Monday, July 20, 2009

What I've learned about me

So here's the deal. This is stuff that should have been very apparent to me years ago. After all, how old am I? But sometimes I just have to get to the "quit fighting yourself" stage and just give in. So what do I know?

Unrelated to this article: records of crystals
'''
A plane-wave DFT calculation with PBE-GGA was carried out for an optimized crystal structure of RbAgF3.

a = 4.4627 Å, b = 4.4627 Å, c = 4.3878 Å
α = 90.00°, β = 90.00°, γ = 90.00°
With the nearest neighbours (Å) after each atom.
Space group P4/mmm (No. 123)
Symmetry-distinct sites (fractional):
Rb  0.0000  0.0000  0.0000 x1  12 F 3.13-3.16
Ag  0.5000  0.5000  0.5000 x1  6 F 2.19-2.23
F  0.0000  0.5000  0.5000 x2  2 Ag 2.23
F  0.5000  0.5000  0.0000 x1  2 Ag 2.19

ΔE_f   -2.1288 eV/atom
Total energy after the MP2020 corrections   -4.04 eV per atom
'''
So much for the records of crystals

  • I write better in the early morning and late at night. Or at least when the house is quiet.
  • I can't write at all if the kids are within ear shot. They are just too dog gone distracting.
  • That means summer is very hard for me.
  • I can work on publicity stuff when the kids are around, but I have to be very careful or I'll write emails full of nonsense, like "Mom! Mackinley just got water all over the floor!"
  • I write more quickly when I have a clear idea what I want to accomplish in a scene, but that doesn't mean the scene will come out better than if I don't know.
  • I'm easily distracted by the Internet.
  • I love talking (email) to people even if I don't know them.
  • I'm useless in the mid-afternoon so I might as well stop beating myself up about the "research" I do before I have to make dinner. Especially the research I do with my eyes closed.
  • While having a sound track helps me get back into the mood of a wip, leaving it on while I'm writing is a mistake. What kind of mistake, you ask? Somehow readers don't really "get" why lyrics pop into the middle of a paragraph.
  • I use too many exclamation points!!!
  • Reading a novel that's too removed from what I write while I'm writing messes up my voice.
What all of this means is I'm going to have to work from midnight to 5 am, sleep from 5 to 8 (AM) struggle through my day taking the kids to swimming and what not and then sleep from 9 pm to midnight.

Something else I've learned about myself: that schedule is never gonna work for me.

Friday, July 17, 2009

Shameless Self Promotion

I won! I won! I won! I won! I won! (tee hee). I found out today that Moonlighting in Vermont, my first publishable novel, won first place in it's category in the 2009 Daphne du Maurier Award For Excellence in Mystery/Suspense - unpublished. The category being mainstream. I've entered a fair number of contests and never even finaled (except the synopsis contest in which I got third place), and here I am the top of my category. It's given me a rather large head.

Well not really. It's a humbling experience in some ways. And a testament to believing in your own voice, and your own better judgement. The big thing though, is getting with other writers through critic groups and workshops and listening to what others have to say. Sometimes others people can be off base, but by listening and noticing when more than one person is saying the same thing, you can weed the good from the bad and improve your writing tremendously.

So thank you to Joni B. Cole, who leads an awesome workshop and whose books I really enjoy, and to Alison, Meg, Jen, Terri and Anne the original inky 500 who kept me afloat through the whole process. There are a bunch of other writers I owe thanks to, folks from Joni's workshops and those famous names that I love to read. I hope you know who you are, if not watch for your name in the future I hope I can get to you all someday.

Wednesday, July 15, 2009

Starting Small

Sometimes success takes an act of faith - jumping on the wagon as it goes by.

The chance I took was signing a contract with a small and newish publisher. Of course the publisher took a chance on me too. A mutual leap of faith. Without that leap I would likely be back at square one. Unpublished.

I was worried that I might be missing out on publicity opportunities that a bigger outfit might offer me, but after talking to a fellow writer I've discovered that even larger publishing houses don't push for unknown authors. So not only do I get more personal attention and get more of a chance. I've get more time to get decent sales.

I'm happy where I'm at. It's a good place to be.

Friday, July 10, 2009

Recently I was looking at my tag line wondering what do I really know about the craft of writing. Not much really. I must know something, because MMP is publishing Moonlighting in Vermont. But most of what I know is not in the forefront of my mind. It's more of a feeling, a sense of what sounds right. It's about how my body responds to the words on the page. Don't get me wrong, I learned all the usual stuff about structure and grammar in college, it's just that I'm not thinking about that when I write.

What I think about when I write is does it sound right to me. Does it flow. How does it make me feel? Does it make me laugh or cry. Does it make me cringe, my jaw ache, my stomach drop? That's how my body reacts when I don't like the way the words are put together. When I like what I'm reading I get lost in the story and forget to edit. Writing is more about storytelling than structure. Oh I know that structure is important, I'm not disputing that, it's just that structure doesn't really occur to me.

I'm going to contradict myself now. Sound, flow and physical reaction don't really come into play during the first draft at all. During the first draft I have pictures in my head. I'm watching what's happening and recording all the details I can before the scene moves on. During the rush of discovery it's all about getting what I "see" down on paper. (Well electronic paper, but you know what I mean.) The other stuff becomes important the second time around when the story is already in place. It's when I'm editing that the feel of the words becomes important to me.

So what does that have to do with the craft of writing? I don't know. And I'm thinking I may have to change my tag line.

Misplaced materials data =
/*
No. 1
Density functional theory data (GGA-PBE) for crystalline LiMg2Al at its relaxed geometry.

Cell: 6.6140 6.6140 6.6140 Å, 154.70 133.53 53.65°
Sites, in units of the cell vectors:
1 Li 0.0000 0.0000 0.0000
2 Mg 0.2521 0.2521 0.0000
3 Mg 0.7479 0.7479 0.0000
4 Al 0.5000 0.5000 0.0000

## Properties
The value obtained for the size of the total moment is 0.00 μB per cell. Its space group is No. 71.



No. 2
Density functional theory data (GGA-PBE) for crystalline BaUO3 at its relaxed geometry.

Cell: 6.2674 8.8189 6.2921 Å, 90.00 90.00 90.00°
Sites, in units of the cell vectors:
1 Ba 0.0160 0.2500 0.0081
2 Ba 0.4840 0.7500 0.5081
3 Ba 0.5160 0.2500 0.4919
4 Ba 0.9840 0.7500 0.9919
5 U 0.0000 0.0000 0.5000
6 U 0.0000 0.5000 0.5000
7 U 0.5000 0.0000 0.0000
8 U 0.5000 0.5000 0.0000
9 O 0.0122 0.7500 0.4250
10 O 0.2327 0.5415 0.7664
11 O 0.2327 0.9585 0.7664
12 O 0.2673 0.0415 0.2664
13 O 0.2673 0.4585 0.2664
14 O 0.4878 0.2500 0.9250
15 O 0.5122 0.7500 0.0750
16 O 0.7327 0.5415 0.7336
17 O 0.7327 0.9585 0.7336
18 O 0.7673 0.0415 0.2336
19 O 0.7673 0.4585 0.2336
20 O 0.9878 0.2500 0.5750

## Properties
Its space group is No. 62.



No. 3
Density functional theory data (GGA-PBE) for crystalline Rb2PrCuI6 at its relaxed geometry.

Cell: 8.4984 8.4984 8.4984 Å, 60.00 60.00 60.00°
Sites, in units of the cell vectors:
1 Rb 0.2500 0.2500 0.2500
2 Rb 0.7500 0.7500 0.7500
3 Pr 0.0000 0.0000 0.0000
4 Cu 0.5000 0.5000 0.5000
5 I 0.2603 0.2603 0.7397
6 I 0.2603 0.7397 0.2603
7 I 0.2603 0.7397 0.7397
8 I 0.7397 0.2603 0.2603
9 I 0.7397 0.2603 0.7397
10 I 0.7397 0.7397 0.2603

## Properties
The value obtained for the size of the total moment is 0.00 μB per cell. Its space group is No. 225.



No. 4
Density functional theory data (GGA-PBE) for crystalline Si6Bi9O26 at its relaxed geometry.

Cell: 9.7520 9.7598 14.1376 Å, 90.02 90.02 119.95°
Sites, in units of the cell vectors:
1 Si 0.0000 0.0000 0.0000
2 Si 0.0005 0.0022 0.4989
3 Si 0.0221 0.6258 0.2508
4 Si 0.0245 0.6279 0.7527
5 Si 0.2282 0.5801 0.4991
6 Si 0.2305 0.5824 0.0004
7 Si 0.2520 0.2052 0.7523
8 Si 0.2521 0.2070 0.2514
9 Si 0.6025 0.9780 0.7527
10 Si 0.6044 0.9777 0.2509
11 Si 0.6477 0.2295 0.0002
12 Si 0.6502 0.2297 0.4990
13 Bi 0.2930 0.9375 0.0968
14 Bi 0.2929 0.9373 0.3851
15 Bi 0.2927 0.9377 0.6455
16 Bi 0.3792 0.3679 0.9993
17 Bi 0.3856 0.3786 0.4991
18 Bi 0.3913 0.6130 0.2525
19 Bi 0.3999 0.6185 0.7520
20 Bi 0.6100 0.3622 0.7520
21 Bi 0.6148 0.3586 0.2522
22 Bi 0.6387 0.8509 0.9995
23 Bi 0.6420 0.8450 0.4992
24 Bi 0.8515 0.5878 0.4991
25 Bi 0.8623 0.5930 0.9995
26 Bi 0.8665 0.8290 0.7520
27 Bi 0.8699 0.8377 0.2526
28 Bi 0.9601 0.2705 0.1549
29 Bi 0.9605 0.2704 0.8648
30 Bi 0.9598 0.2710 0.6050
31 O 0.0337 0.4827 0.5061
32 O 0.0363 0.4965 0.9931
33 O 0.0977 0.1965 0.5062
34 O 0.1013 0.9089 0.0029
35 O 0.1082 0.1937 0.9931
36 O 0.1243 0.9355 0.4989
37 O 0.1280 0.2719 0.7522
38 O 0.1455 0.0132 0.2591
39 O 0.1486 0.2957 0.2490
40 O 0.1542 0.0107 0.7450
41 O 0.2163 0.7143 0.2588
*/

Thursday, July 2, 2009

July, Already?

I woke up today and it's July 2nd! When did that happen? Summer should be a time to relax and unwind, hopefully get the weeds out of the garden, but my summer somehow gets out of control before school's even out.

Records of crystals, as found in the file:
<<<
This record from Materials Project describes a relaxed Li2Mg crystal. The functional is meta-GGA r2SCAN.

Results
symmetry	P-62m (189)

Lattice parameters (Å, degrees): 5.2965 5.2965 5.0627 90.00 90.00 120.00
Closest atoms and distances in Å follow each position.
Positions (direct):
Li 0.0000 0.0000 0.5000  6 Mg 3.06, 6 Li 3.09
Li 0.0000 0.6669 0.0000  8 Li 3.06-3.09, 4 Mg 3.09
Li 0.3331 0.3331 0.0000  8 Li 3.06-3.09, 4 Mg 3.09
Li 0.6669 0.0000 0.0000  8 Li 3.06-3.09, 4 Mg 3.09
Mg 0.3333 0.6667 0.5000  3 Mg 3.06, 9 Li 3.06-3.09
Mg 0.6667 0.3333 0.5000  3 Mg 3.06, 9 Li 3.06-3.09

This record from Materials Project describes a relaxed U crystal. The functional is meta-GGA r2SCAN.

Results
ΔE to the lowest computed polymorph	0.117	eV per atom

Lattice parameters (Å, degrees): 3.7449 3.7449 5.3022 90.00 90.00 90.00
Closest atoms and distances in Å follow each position.
Positions (direct):
U 0.0000 0.5000 0.5000  6 U 2.65
U 0.0000 0.5000 0.0000  6 U 2.65
U 0.5000 0.0000 0.5000  6 U 2.65
U 0.5000 0.0000 0.0000  6 U 2.65

This record from Materials Project describes a relaxed NpAl8Fe4 crystal. The functional is meta-GGA r2SCAN.

Results
symmetry	I4/mmm (139)

Lattice parameters (Å, degrees): 6.6725 6.6725 6.6725 98.01 98.01 136.16
Closest atoms and distances in Å follow each position.
Positions (direct):
Fe 0.5000 0.5000 0.5000  2 Fe 2.49, 8 Al 2.53-2.65
Fe 0.0000 0.5000 0.0000  2 Fe 2.49, 8 Al 2.53-2.65
Fe 0.5000 0.0000 0.0000  2 Fe 2.49, 8 Al 2.53-2.65
Fe 0.0000 0.0000 0.5000  2 Fe 2.49, 8 Al 2.53-2.65
Al 0.0000 0.6571 0.6571  4 Fe 2.65, 5 Al 2.70-2.77
Al 0.7253 0.5000 0.2253  4 Fe 2.53, 6 Al 2.70-2.79
Al 0.6571 0.0000 0.6571  4 Fe 2.65, 5 Al 2.70-2.77
Al 0.5000 0.2747 0.7747  4 Fe 2.53, 6 Al 2.70-2.79
Al 0.3429 0.0000 0.3429  4 Fe 2.65, 5 Al 2.70-2.77
Al 0.2747 0.5000 0.7747  4 Fe 2.53, 6 Al 2.70-2.79
Al 0.0000 0.3429 0.3429  4 Fe 2.65, 5 Al 2.70-2.77
Al 0.5000 0.7253 0.2253  4 Fe 2.53, 6 Al 2.70-2.79
Np 0.0000 0.0000 0.0000  12 Al 3.00-3.18, 8 Fe 3.34

This record from Materials Project describes a relaxed PrSe crystal. The functional is meta-GGA r2SCAN.

Results
symmetry	Fm-3m (225)

Lattice parameters (Å, degrees): 4.2624 4.2624 4.2624 60.00 60.00 60.00
Closest atoms and distances in Å follow each position.
Positions (direct):
Pr 0.0000 0.0000 0.0000  6 Se 3.01
Se 0.5000 0.5000 0.5000  6 Pr 3.01

This record from Materials Project describes a relaxed GdCrB4 crystal. The functional is meta-GGA r2SCAN.

Results
symmetry	Pbam (55)

Lattice parameters (Å, degrees): 5.9617 11.5278 3.4605 90.00 90.00 90.00
Closest atoms and distances in Å follow each position.
Positions (direct):
B 0.1132 0.5466 0.5000  3 B 1.72-1.74
B 0.2199 0.8167 0.5000  3 B 1.81-1.87
B 0.3608 0.4676 0.5000  3 B 1.73-1.82
B 0.2801 0.3167 0.5000  3 B 1.81-1.87
B 0.1392 0.9676 0.5000  3 B 1.73-1.82
B 0.3868 0.0466 0.5000  3 B 1.72-1.74
B 0.9756 0.3097 0.5000  3 B 1.74-1.87
B 0.6132 0.9534 0.5000  3 B 1.72-1.74
B 0.5244 0.8097 0.5000  3 B 1.74-1.87
B 0.7801 0.1833 0.5000  3 B 1.81-1.87
>>>
Back to the entry:

My kids' dad likes to make sure the kids don't get bored, but that means I spend the summer as an unpaid taxi driver traveling Vermont taking unwilling children to camps, activities - oh you name it, we do it. Meanwhile, the writing doesn't get done, the house doesn't get painted, and the housekeeper (me) doesn't do her job.

I wanted to say and Suddenly it was July 2nd - but my friend Joni B., who teaches writing skills, says that's a no-no. No more ly words for me. Except for this strange desire to write the sentence -

And who knows what I had a strange desire to write because as of today it's July 9 or 10, or something. That's how fast time goes for me. I wish I had the same ability to slow it down. The only thing I can say for myself is I've made some progress on my books. Yes plural. Right in the middle of writing Tank and Maggie meet the Mob I got this strange compulsion to start another Bree MacGowan story. Yikes. Now I'm left with trying to keep my characters out of each other's stories. Good luck.

Happy Summer all.